### To do
Now set down everything below without additions.
### File
********
Computed, not measured: a structure of composition C24H22Cl4IrN4O5 in a non-equilibrium geometry, with the ωB97M-V functional and the def2-TZVPD basis.

Properties
* HOMO level (alpha / beta): -12.4803 / -14.3581 eV
* energy relative to the best compared isomer or geometry (same formula, charge and spin): 0.000 eV
* <S²>: 8.8385
* calculated total energy: -94354.025 eV
* charge: +2
* spin multiplicity: 6

Last column: Löwdin charge in e.
Geometry (Å):
Ir 0.083 0.019 0.008  1.371
O 5.572 -5.411 -0.083  0.159
C 5.930 -4.139 -0.252  -0.475
O 7.064 -3.821 -0.458  0.170
C 4.862 -3.079 -0.190  -0.073
C 3.518 -3.307 -0.526  0.008
C 2.610 -2.282 -0.485  0.023
C 3.013 -0.963 -0.136  -0.228
C 4.377 -0.756 0.226  0.031
C 5.273 -1.786 0.169  0.030
N 2.118 0.043 -0.189  -0.073
C 2.589 1.362 -0.220  -0.021
C 1.686 2.392 -0.073  -0.246
C 2.028 3.766 -0.062  0.025
C 1.040 4.710 0.023  -0.021
C -0.295 4.292 0.098  -0.009
C -0.581 2.939 0.111  -0.089
N 0.365 2.005 0.036  -0.084
H 4.645 -5.535 0.145  0.110
H 3.194 -4.289 -0.848  0.126
H 1.577 -2.453 -0.752  0.087
H 4.722 0.213 0.557  0.117
H 6.317 -1.627 0.405  0.140
H 3.626 1.570 -0.434  0.130
H 3.072 4.042 -0.117  0.133
H 1.281 5.763 0.035  0.128
H -1.099 5.011 0.144  0.122
H -1.603 2.591 0.169  0.116
Cl -3.296 0.044 6.193  0.827
C -2.908 0.064 4.547  -0.673
C -3.920 0.204 3.596  -0.684
Cl -5.535 0.324 4.096  0.810
C -3.597 0.257 2.220  -0.542
Cl -4.816 0.450 1.065  0.880
C -2.250 0.166 1.770  -0.339
O -1.941 0.226 0.546  -0.128
C -1.187 -0.004 2.758  -0.363
O -0.008 -0.094 2.357  -0.013
C -1.553 -0.057 4.139  -0.544
Cl -0.324 -0.248 5.271  0.909
C -3.702 -3.267 -0.994  -0.026
N -2.425 -2.596 -1.205  -0.113
C -2.460 -1.529 -2.196  -0.017
C -1.320 -2.857 -0.487  -0.460
O -0.370 -2.030 -0.365  -0.187
N -1.210 -4.065 0.121  -0.128
C -0.256 -4.216 1.209  -0.021
C -1.616 -5.313 -0.515  -0.027
H -4.468 -2.502 -0.848  0.091
H -3.675 -3.894 -0.110  0.091
H -3.987 -3.867 -1.858  0.106
H -2.592 -1.954 -3.192  0.108
H -1.536 -0.960 -2.181  0.067
H -3.291 -0.858 -1.985  0.092
H -0.121 -3.268 1.721  0.087
H 0.716 -4.563 0.846  0.091
H -0.643 -4.956 1.909  0.103
H -2.048 -5.132 -1.494  0.092
H -2.332 -5.859 0.101  0.103
H -0.735 -5.946 -0.646  0.102

Computed, not measured: a structure of composition C7H12B11Br6ClO4Ti in a non-equilibrium geometry, with the ωB97M-V functional and the def2-TZVPD basis.

Properties
* HOMO level: -14.8559 eV
* energy relative to the best compared isomer or geometry (same formula, charge and spin): 0.719 eV
* calculated total energy: -478954.475 eV
* charge: +2
* spin multiplicity: 1

Last column: Löwdin charge in e.
Geometry (Å):
Ti -2.149 1.333 0.502  0.612
C -1.808 2.328 2.740  -0.108
C -3.187 2.429 2.477  -0.040
C -3.641 3.150 1.367  -0.027
C -2.719 3.767 0.509  -0.036
C -1.347 3.637 0.751  -0.099
C -0.887 2.913 1.867  -0.107
H -1.459 1.769 3.597  0.140
H -3.896 1.929 3.126  0.160
H -4.701 3.209 1.153  0.161
H -3.063 4.310 -0.363  0.159
H -0.632 4.077 0.066  0.143
H 0.177 2.778 2.020  0.100
Br 0.037 1.352 -0.918  1.031
B 0.966 -0.433 -1.043  -0.701
B 1.532 -1.452 -2.443  -0.105
C 1.752 -2.679 -1.399  0.024
B 0.195 -2.034 -1.250  -0.110
B 1.202 -3.380 -0.007  -0.056
B 3.062 -3.260 -0.511  -0.107
B 3.287 -1.912 -1.827  -0.196
B 2.719 -0.307 -1.458  -0.845
Br 3.578 1.346 -1.883  0.922
B 3.691 -1.538 -0.118  -0.891
Br 5.482 -1.143 0.378  0.961
B 2.407 -2.481 0.994  -0.819
Br 2.686 -2.773 2.857  0.948
B 1.009 -1.670 0.207  -0.388
Br -1.377 -0.512 1.677  0.732
B 2.315 -0.633 0.488  -0.910
Br 2.357 0.888 1.677  0.899
H 1.407 -1.434 -3.609  0.160
H 2.035 -1.791 -0.727  0.075
H -0.816 -2.519 -1.590  0.147
H 0.596 -4.370 0.138  0.158
H 3.638 -4.260 -0.722  0.162
H 3.940 -2.347 -2.703  0.174
O -2.846 -0.792 -1.597  -0.207
Cl -3.729 0.263 -1.306  0.823
O -3.909 0.340 0.237  -0.412
O -4.943 0.310 -1.965  -0.111
O -2.962 1.592 -1.390  -0.414
********
### Here it is
Computed, not measured: a structure of composition C24H22Cl4IrN4O5 in a non-equilibrium geometry, with the ωB97M-V functional and the def2-TZVPD basis.

Properties
* HOMO level (alpha / beta): -12.4803 / -14.3581 eV
* energy relative to the best compared isomer or geometry (same formula, charge and spin): 0.000 eV
* <S²>: 8.8385
* calculated total energy: -94354.025 eV
* charge: +2
* spin multiplicity: 6

Last column: Löwdin charge in e.
Geometry (Å):
Ir 0.083 0.019 0.008  1.371
O 5.572 -5.411 -0.083  0.159
C 5.930 -4.139 -0.252  -0.475
O 7.064 -3.821 -0.458  0.170
C 4.862 -3.079 -0.190  -0.073
C 3.518 -3.307 -0.526  0.008
C 2.610 -2.282 -0.485  0.023
C 3.013 -0.963 -0.136  -0.228
C 4.377 -0.756 0.226  0.031
C 5.273 -1.786 0.169  0.030
N 2.118 0.043 -0.189  -0.073
C 2.589 1.362 -0.220  -0.021
C 1.686 2.392 -0.073  -0.246
C 2.028 3.766 -0.062  0.025
C 1.040 4.710 0.023  -0.021
C -0.295 4.292 0.098  -0.009
C -0.581 2.939 0.111  -0.089
N 0.365 2.005 0.036  -0.084
H 4.645 -5.535 0.145  0.110
H 3.194 -4.289 -0.848  0.126
H 1.577 -2.453 -0.752  0.087
H 4.722 0.213 0.557  0.117
H 6.317 -1.627 0.405  0.140
H 3.626 1.570 -0.434  0.130
H 3.072 4.042 -0.117  0.133
H 1.281 5.763 0.035  0.128
H -1.099 5.011 0.144  0.122
H -1.603 2.591 0.169  0.116
Cl -3.296 0.044 6.193  0.827
C -2.908 0.064 4.547  -0.673
C -3.920 0.204 3.596  -0.684
Cl -5.535 0.324 4.096  0.810
C -3.597 0.257 2.220  -0.542
Cl -4.816 0.450 1.065  0.880
C -2.250 0.166 1.770  -0.339
O -1.941 0.226 0.546  -0.128
C -1.187 -0.004 2.758  -0.363
O -0.008 -0.094 2.357  -0.013
C -1.553 -0.057 4.139  -0.544
Cl -0.324 -0.248 5.271  0.909
C -3.702 -3.267 -0.994  -0.026
N -2.425 -2.596 -1.205  -0.113
C -2.460 -1.529 -2.196  -0.017
C -1.320 -2.857 -0.487  -0.460
O -0.370 -2.030 -0.365  -0.187
N -1.210 -4.065 0.121  -0.128
C -0.256 -4.216 1.209  -0.021
C -1.616 -5.313 -0.515  -0.027
H -4.468 -2.502 -0.848  0.091
H -3.675 -3.894 -0.110  0.091
H -3.987 -3.867 -1.858  0.106
H -2.592 -1.954 -3.192  0.108
H -1.536 -0.960 -2.181  0.067
H -3.291 -0.858 -1.985  0.092
H -0.121 -3.268 1.721  0.087
H 0.716 -4.563 0.846  0.091
H -0.643 -4.956 1.909  0.103
H -2.048 -5.132 -1.494  0.092
H -2.332 -5.859 0.101  0.103
H -0.735 -5.946 -0.646  0.102

Computed, not measured: a structure of composition C7H12B11Br6ClO4Ti in a non-equilibrium geometry, with the ωB97M-V functional and the def2-TZVPD basis.

Properties
* HOMO level: -14.8559 eV
* energy relative to the best compared isomer or geometry (same formula, charge and spin): 0.719 eV
* calculated total energy: -478954.475 eV
* charge: +2
* spin multiplicity: 1

Last column: Löwdin charge in e.
Geometry (Å):
Ti -2.149 1.333 0.502  0.612
C -1.808 2.328 2.740  -0.108
C -3.187 2.429 2.477  -0.040
C -3.641 3.150 1.367  -0.027
C -2.719 3.767 0.509  -0.036
C -1.347 3.637 0.751  -0.099
C -0.887 2.913 1.867  -0.107
H -1.459 1.769 3.597  0.140
H -3.896 1.929 3.126  0.160
H -4.701 3.209 1.153  0.161
H -3.063 4.310 -0.363  0.159
H -0.632 4.077 0.066  0.143
H 0.177 2.778 2.020  0.100
Br 0.037 1.352 -0.918  1.031
B 0.966 -0.433 -1.043  -0.701
B 1.532 -1.452 -2.443  -0.105
C 1.752 -2.679 -1.399  0.024
B 0.195 -2.034 -1.250  -0.110
B 1.202 -3.380 -0.007  -0.056
B 3.062 -3.260 -0.511  -0.107
B 3.287 -1.912 -1.827  -0.196
B 2.719 -0.307 -1.458  -0.845
Br 3.578 1.346 -1.883  0.922
B 3.691 -1.538 -0.118  -0.891
Br 5.482 -1.143 0.378  0.961
B 2.407 -2.481 0.994  -0.819
Br 2.686 -2.773 2.857  0.948
B 1.009 -1.670 0.207  -0.388
Br -1.377 -0.512 1.677  0.732
B 2.315 -0.633 0.488  -0.910
Br 2.357 0.888 1.677  0.899
H 1.407 -1.434 -3.609  0.160
H 2.035 -1.791 -0.727  0.075
H -0.816 -2.519 -1.590  0.147
H 0.596 -4.370 0.138  0.158
H 3.638 -4.260 -0.722  0.162
H 3.940 -2.347 -2.703  0.174
O -2.846 -0.792 -1.597  -0.207
Cl -3.729 0.263 -1.306  0.823
O -3.909 0.340 0.237  -0.412
O -4.943 0.310 -1.965  -0.111
O -2.962 1.592 -1.390  -0.414